I’ve seen several instances where people have demonstrated the ease with which encrypted cookies can replace sessions within PHP. Michael Nitschinger wrote a piece recently demonstrating the switch with Lithium, while CodeIgniter does this by default (optionally encrypting). The problem is that while replacing sessions with cookies works, it introduces a few risks not present with native session support, and these risks tend to be under documented.

Encryption is often viewed as a panacea for security problems, you sprinkle a little encryption dust around, and your problems dissolve. Unfortunately, while properly implemented encryption solves the problem of other people reading your encrypted data quite well, it doesn’t do much else. It doesn’t (on its own) tell you if other people have duplicated your data, manipulated the data in question, or handed you an old copy of properly encrypted data.

Consider an attacker who manages to sit in between Amazon and one of their warehouses. Amazon (in this theoretical example) encrypts all order instructions well, then transmits them to the warehouse. The warehouse decrypts the instruction, fills the order, and ships. If the attacker wanted free stuff they could place an order during a low traffic period, and wait for Amazon to send an encrypted message and make a copy. A few minutes later they could re-send that encrypted message to the warehouse, never having even tried to read it. With luck, they’ll soon receive two of whatever they just ordered! This is an instance of the replay attack, and that vulnerability is the one this post will examine in detail.

Exploiting cookie based sessions

Executing a replay attack against a cookie based session is easy, legitimately obtain some desired state on the system in question, and make a copy of your cookies. Should something go wrong, simply restore your cookies to the previous state. To demonstrate this, I’ve created a sample gambling application, you can get the source from github, or Play Now! (thanks to Orchestra.io, it's a free account so give it a moment)

In the game you start with $1000, then have the ability to make arbitrary wagers. Make a few bets to get a feel for the system, then make a copy of your cookie values. Bet again. If you lose money, simply restore your earlier cookies to get that money back. That’s it. This attack works because the system is willing to accept any successfully decrypted message as a valid, and current, session.

This attack doesn’t exist under traditional session storage. The user’s cookie doesn’t change from one request to the next as their money goes up and down. If a system is regenerating the session ID when the user changes privilege levels, the old session is deleted and no longer available when invoked properly: session_regenerate_id(TRUE);

A system using cookie based session storage, while using a CAPTCHA to defeat bots is doomed to fail, the attacker could solve the CAPTCHA once, then re-use that same cookie a million times. Encryption makes it difficult for an attacker to read the message, additional systems must be bolted on to defend against this sort of attack. In the stateless world of HTTP and the web, this is exceedingly difficult without some server-side datastore.

While this was clearly a trivial example, the problem is not. If you’re looking at using cookie based sessions it’s one of the things you need to be aware of.

If you’re interested in learning more about cryptography, including a great rundown of this problem and many others, I’d highly recommend Practical Cryptography

Take a look at this picture I took in the mall, in particular the Reitmans, Stokes, and Carleton Cards stores (left to right accordingly):

The stores look very different, mostly due to the colour of light they've used. In the Carleton Cards, there's a yellow light, adding a bit of warmth to a store built around relationships and expressing feelings. Stokes (a kitchen store) uses a very clean, white light, appropriate for clean kitchens, and pushing that meme. Reitmans (a clothing store) uses a rose coloured light which improves the look of skin for most people (especially us pasty Caucasians in the middle of winter).

Just another way stores are marketing to you that's easy to miss.

I get quite a bit of email, and deal with quite a few automated systems, banks, credit card companies, the cable company, etc. I’m tired of automated systems forcing me to ask myself a question to figure out what’s happening.

Here’s the first email I found with the word “if” in it:
We wanted to let you know that your order has shipped. If you ordered multiple items, you may receive separate shipments with no additional shipping charges.

My problem is that the email contains an “if”. There’s no reason for it. The computer that sent the email either does have access, or should have access, to my order. It knows that I only ordered a single product, so there’s no point in wasting my time with any other information.

My bank does something even more confusing:
A fee of $1.50 will be charged in the currency of the account for each cheque viewed. The fee will be debited from your account by the next business day. You may view a cheque as many times as you wish during your current EasyWeb session.
For personal chequing accounts the View Cheque service is free for customers who havePaperless or Online Only record keeping.

I have no idea what kind of account type I have. I push “Checking” to get money out of the ATM, but that doesn’t seem to be what it’s asking for. I opened this account when I was 16 years old, at a branch and bank that no longer exists. Do I have “Paperless” or “Online Only” record keeping? I’m not sure. Not knowing may cost me $1.50, but the computer running the bank most certainly knows what options I have on my account. That’s how it will know to charge me if I’ve got the wrong kind of account. Yet, I’m faced with the question.

Seeing these issues reminds me of an article I read back in 2004: Ten most persistent design bugs in particular “let you save me some time.”

In both these cases the developer decided to let me save him or her some time. They didn’t complicate their page or email template with an if structure, and instead presented one to me. Every Single person who interacts with that page, or gets that email is now forced to determine which case applies to them, all an effort to save some work on the part of one developer/designer some time ago.

It’s a stupid waste, and I wish it would stop.

I wish it was easy for me to persistently and privately tag an individual on the Internet with a keyword, then hopefully a short justification. When reading an interesting blog post or tweet you could tag them as interesting or understands cryptography or the like. Then the next time you ran into a post, comment, tweet, conference schedule, whatever from that individual that tag would be visible.

It could in theory live almost entirely in the browser, but I think it would work best with some sort of centralized backend to facilitate cross device consistency.

It doesn’t need to be perfect, nor does it need to pierce any sort of attempt at anonymity. Think about gravatar, a great service that plugs your picture into blog comments through your email address. It’s neither perfect nor completely pervasive but it’s still helpful.

To be clear this isn’t something I want to add onto Facebook or Twitter. I’m not friends with these people, I don’t need to hear when they’re drunk, dating, or farming pixels. Nor do I want to read every inane comment or checkin they push to Twitter. I’d simply like a little icon to appear the next time I encounter them on any medium letting me know they’re brilliant, or a racist bigot so I can react appropriately…

Apart from the (hopefully) apparent utility, I also think this helps bring us back something we’ve lost. One hundred years ago if someone said something interesting to you they were standing in front of you (or at least within earshot) and you’d likely have an easy time remembering that individual to credit them later, or simply pay extra attention that individual attempted to share a remark. By the same token if someone said something idiotic and offensive you’d have an easy time remembering them, and simply walk to the other side of the bar when they mount their soap box. We’re exposed to opinions from nearly faceless individuals at a terrifying rate these days, and along the way lost the ability to appropriately credit the things we’ve seen, this wish would make serious progress to fix that.

I fell in love with Hooks in frameworks recently; the honeymoon period was tragically short.

First, the love story:

I ran into hooks rather simultaneously with two very different frameworks: Code Igniter and Lithium. In both cases I was using a rather nifty hook to handle ensuring that users were properly authenticated and authorized before accessing a page. I think we can all agree having to add some code to every single method is foolhardy: if (!isset($_SESSION['user_level']) OR ($_SESSION['user_level'] != 'admin')) { header('Location: ' . APP_ROOT_URI); exit; }

Data records, as found in the file =
~~~
Record 1
# Li4MnCo2O7

An optimized crystal structure of Li4MnCo2O7 (GGA+U, the Materials Project).

The final energy is -5.82 eV per atom.

abc: 14.862 14.862 5.912
angles: 83.52 83.52 11.21
Sites, in units of the cell vectors:
Li  0.571  0.571  0.209
Li  0.711  0.711  0.641
Li  0.859  0.859  0.069
Li  0.136  0.136  0.925
Li  0.285  0.285  0.360
Li  0.431  0.431  0.783
Li  0.006  0.006  0.503
Li  0.571  0.571  0.720
Mn  0.003  0.003  0.995
Mn  0.286  0.286  0.857
Co  0.135  0.135  0.447
Co  0.429  0.429  0.288
Co  0.709  0.709  0.153
Co  0.860  0.860  0.565
O  0.499  0.499  0.225
O  0.643  0.643  0.663
O  0.786  0.786  0.078
O  0.065  0.065  0.969
O  0.215  0.215  0.374
O  0.353  0.353  0.810
O  0.930  0.930  0.524
O  0.646  0.646  0.186
O  0.787  0.787  0.636
O  0.933  0.933  0.051
O  0.221  0.221  0.904
O  0.359  0.359  0.330
O  0.500  0.500  0.779
O  0.074  0.074  0.458



Record 2
# Li7Mn4CoO12

An optimized crystal structure of Li7Mn4CoO12 (GGA+U, the Materials Project).

The final energy is -6.20 eV per atom.

abc: 5.076 7.750 5.984
angles: 103.76 91.24 107.10
Sites, in units of the cell vectors:
Li  0.494  0.993  0.752
Li  0.506  0.341  0.582
Li  0.483  0.990  0.251
Li  0.517  0.344  0.083
Li  0.484  0.667  0.913
Li  0.516  0.666  0.420
Li  0.000  0.667  0.667
Mn  0.003  0.993  0.995
Mn  0.997  0.340  0.338
Mn  0.007  0.340  0.832
Mn  0.993  0.993  0.502
Co  0.000  0.667  0.167
O  0.241  0.844  0.960
O  0.232  0.169  0.773
O  0.220  0.832  0.438
O  0.206  0.152  0.301
O  0.237  0.500  0.106
O  0.219  0.480  0.634
O  0.768  0.165  0.561
O  0.759  0.490  0.373
O  0.794  0.182  0.032
O  0.780  0.502  0.896
O  0.781  0.854  0.700
O  0.763  0.833  0.228



Record 3
# Li7Mn4CoO12

An optimized crystal structure of Li7Mn4CoO12 (GGA+U, the Materials Project).

The final energy is -6.20 eV per atom.

abc: 5.109 5.109 15.861
angles: 82.63 82.63 32.75
Sites, in units of the cell vectors:
Li  0.254  0.254  0.077
Li  0.747  0.747  0.253
Li  0.237  0.237  0.429
Li  0.746  0.746  0.596
Li  0.271  0.271  0.739
Li  0.758  0.758  0.903
Li  0.000  0.000  0.666
Mn  0.005  0.005  0.994
Mn  0.485  0.485  0.512
Mn  0.505  0.505  0.165
Mn  0.989  0.989  0.340
Co  0.518  0.518  0.811
O  0.387  0.387  0.967
O  0.896  0.896  0.121
O  0.379  0.379  0.297
O  0.876  0.876  0.467
O  0.382  0.382  0.615
O  0.887  0.887  0.794
O  0.119  0.119  0.204
O  0.600  0.600  0.381
O  0.103  0.103  0.538
O  0.630  0.630  0.713
O  0.107  0.107  0.885
O  0.617  0.617  0.034



Record 4
# Li4MnCo2O7

An optimized crystal structure of Li4MnCo2O7 (GGA+U, the Materials Project).

The final energy is -5.80 eV per atom.

abc: 3.018 9.769 9.814
angles: 116.39 92.73 97.03
Sites, in units of the cell vectors:
Li  0.786  0.577  0.146
Li  0.065  0.139  0.284
Li  0.361  0.720  0.427
Li  0.639  0.280  0.573
Li  0.935  0.861  0.716
Li  0.214  0.423  0.854
Li  0.500  0.000  0.000
Li  0.000  0.000  0.500
Mn  0.865  0.716  0.933
Mn  0.135  0.284  0.067
Co  0.423  0.863  0.228
~~~

Hooks provide a great way to solve the issue. Within Lithium you can leverage the filters mechanism to handle authentication quite easily, in fact it's an example case in their tutorials. The beautiful thing about it in my mind is the simplicity of things at the controller level: I simply list the publicly accessible methods in a property (public $publicActions = array('login');), and everything else is assumed to only be accessible to logged in users. Fantastic! If I mess up when adding a new method, it defaults to closed, which is exactly the result I'm looking for.

Over with Code Igniter things are really quite similar. The post_controller_constructor hook can be used to invoke a specific class and controller. That class can return true, redirect a user, whatever as appropriate. Since it's invoked after the controller is instantiated, similar configuration options can be made available.

The honeymoon

I ripped redundant, error prone, easy to forget, and fundamentally stupid checks out of all of the controllers where I'd added them. These new systems were much easier to maintain, required a lot less code, and I didn't need to add 10 lines of unrelated bloat into each controller. Life was grand. Days where I wrote negative lines of code felt glorious.

The big fight

One day, while messing around, I accidentally turned off the hook configuration within Code Igniter (actually I clobbered a file, and restored the wrong one). Then, things came crashing down in a horrible cacophony of... actually they didn't. Everything kept working: that was the problem. The entirety of my security system was turned off because one file was wrong, and things kept working. Sure, specific calls that referenced the current user's username broke, but there was more than enough left vulnerable for me to get a big chill.


Revisiting the hooks system, I was shocked by the tremendous lack of depth in my defense: one mis-configured file and security was off. Even worse, nothing broke. There was no evidence that the security was disabled unless you went probing, which is horrible. The only thing worse than a safe that won't lock, is one that looks like it's locked but pulls open to a slight touch.


The easy thing to reach for with both Lithium, and Code Igniter is __construct(). A single, unified location to ensure that the authorization tests have been executed. Unfortunately, in both cases __construct() is called long before the authorization hooks are run. More specialized solutions are required.

With Lithium

The __invoke() method is invoked after the authorization filter, so it's a great candidate for double checking. public function __invoke($request, $dispatchParams, array $options = array()) { if (!defined('AUTH_CHECKED')) { throw new DispatchException('Authorization filter not run.'); } return parent::__invoke($request, $dispatchParams, $options); }

With Code Igniter

The _remap() function is called (when available) to allow you to remap incoming requests to a different method. Since it's invoked universally, the check can go there. public function _remap($method) { if(defined('AUTH_CHECKED')) { $this->$method(); }else { exit('ACL Configuration Error'); } }

Both of these cases provided me with the depth I was looking for. I'm no longer entirely dependent on one configuration option or file for my security to function. Should it fail, I've got a secondary check in place; this example of defence in depth allows me to be comfortable with the hooks security system once more.

Final thoughts

Through researching this, and exploring several code bases to which I have access, I've noticed two distinct strategies for managing method level access. In Lithium, each class indicates which methods should be accessible to which security groups using a public property; by contrast, in the other strategy, public methods were explicitly laid out inside the single authorization function. The former has the advantage of allowing you to quickly and easily manage security while you add functions to a given controller; the latter solves the issue of your authorization rules being scattered across each and every controller by centralizing them in one easy to locate file.


Some suggestions have cropped up:

  • Unit Testing
  • While I'll agree that great, properly implemented, unit testing would have caught this it still doesn't leave me feeling comfortable. First, I've seen a lot of unit testing code, and much of it wouldn't have caught this. Either because the code specifically tested the authentication, and authorization code on its own, not combined with the actual controllers. Or because it used its own configuration file during testing, missing the fact that something had been removed from production. Second, I'm not sure that simply exposing the issue with unit testing would make me comfortable, I definitely would have caught it faster. Possibly even as soon as I'd committed the code. But I'd still like something running along side the code constantly to make sure the checks are in place.
  • Auth Specific Class
  • As suggested by Chris Morrell (in this series of tweets) I could be using a dedicated authorization class. While this does solve the configuration problem by calling it explicitly, I'm losing granularity or making a call with every action. I'll lose granularity if I decide to put one initial call in my constructor (or other early globally called method) since it affects the entire class. Ending up making a call with every action was exactly what I was trying to avoid in the first place. That said, the use of getIdentity() vs requireIdentity() is quite slick, I like how simultaneously explicit and transparent a normal action becomes.

This is the first in a continuing series of things I wish. Posted on Wednesdays

"This doesn't sound hard"

All I want is a DVD ripper that can do what a CD ripper did over a decade ago. I'd like to insert a DVD into my computer, have it look up the meta data on some sort of modern CDDB equivalent, then rip the disk with appropriate meta data for iTunes. It will need to understand the difference between Television and Movies, as well as how to rip the right audio track, and what chapters are associated with what episode. This really doesn't seem that hard. Yet, I don't have one. Everything I've seen requires me to figure out those associations, or handles meta data poorly.

RipIt: Is a functional ripping tool, it however doesn't seem to understand TV disks. I put in Battlestar Galactica Season 1, Disk 2. It ripped it into a single file, that turned out to be something like the middle of episode 3 to the end of episode 4.

Handbrake: Another functional ripping tool, it requires me to figure out which chapters are associated with which episodes on a disc. I don't want to worry about this, put a disc in, wait, take disk out, repeat.

I'm on a mac, though if something truly perfect came out for Linux or Windows I'd rip from a VM.

Hi, I’m Paul Reinheimer, a developer working on the web.

I co-founded WonderProxy which provides access to over 200 proxies around the world to enable testing of geoip sensitive applications. We've since expanded to offer more granular tooling through Where's it Up

My hobbies are cycling, photography, travel, and engaging Allison Moore in intelligent discourse. I frequently write about PHP and other related technologies.
